
New scam tries to give you a free Celestial Steed

One of the sadder parts of this job is reporting on the numerous scams that sweep across the World of Warcraft landscape. It's no secret that your WoW account is valuable to thieves -- the entire gold-selling industry is built on a foundation of hacked accounts and stolen items.

Their latest scam vehicle? Our inherent desire for sparkle ponies. Let's get two things straight off the bat:

  1. You did not just win a free Celestial Steed mount. That in-game tell is an attempt to steal your account.

**Someone pasted calculated crystals at this point**
-- begin --
# 1
{"formula": "Mg14TiC", "functional": "PBE-GGA", "state": "optimized geometry", "space_group": "No. 187", "density_g_cm3": 1.99, "formation_enthalpy_0k_ev_per_atom": 0.311, "crystal_system": "hexagonal", "relative_energy_kcal_per_mol_atoms": 0.51, "cell": [[6.2882, 0.0000, 0.0000], [-3.1441, 5.4458, 0.0000], [0.0000, 0.0000, 9.7589]], "species": ["Mg", "Mg", "Mg", "Mg", "Mg", "Mg", "Mg", "Mg", "Mg", "Mg", "Mg", "Mg", "Mg", "Mg", "Ti", "C"], "frac_coords": [[0.0000, 0.0000, 0.2423], [0.0000, 0.0000, 0.7577], [0.0215, 0.5108, 0.2648], [0.0215, 0.5108, 0.7352], [0.3261, 0.1631, 0.5000], [0.3437, 0.1719, 0.0000], [0.4892, 0.5108, 0.2648], [0.4892, 0.5108, 0.7352], [0.4892, 0.9785, 0.2648], [0.4892, 0.9785, 0.7352], [0.8281, 0.1719, 0.0000], [0.8281, 0.6563, 0.0000], [0.8369, 0.1631, 0.5000], [0.8369, 0.6739, 0.5000], [0.3333, 0.6667, 0.0000], [0.3333, 0.6667, 0.5000]]}

=====

# 2
{"formula": "LuGaPt", "functional": "PBE-GGA", "state": "optimized geometry", "space_group": "No. 62", "density_g_cm3": 12.78, "formation_enthalpy_0k_ev_per_atom": -1.102, "crystal_system": "orthorhombic", "cell": [[6.7496, 0.0000, 0.0000], [0.0000, 4.3548, 0.0000], [0.0000, 0.0000, 7.7744]], "species": ["Lu", "Lu", "Lu", "Lu", "Ga", "Ga", "Ga", "Ga", "Pt", "Pt", "Pt", "Pt"], "frac_coords": [[0.0330, 0.2500, 0.1806], [0.4670, 0.7500, 0.6806], [0.5330, 0.2500, 0.3194], [0.9670, 0.7500, 0.8194], [0.1475, 0.2500, 0.5584], [0.3525, 0.7500, 0.0584], [0.6475, 0.2500, 0.9416], [0.8525, 0.7500, 0.4416], [0.2365, 0.7500, 0.3758], [0.2635, 0.2500, 0.8758], [0.7365, 0.7500, 0.1242], [0.7635, 0.2500, 0.6242]]}

=====

# 3
{"formula": "CoSi3P3", "functional": "PBE-GGA", "state": "optimized geometry", "e_ij_max_c_m2": 0.1, "space_group": "No. 4", "density_g_cm3": 3.61, "formation_enthalpy_0k_ev_per_atom": -0.318, "crystal_system": "monoclinic", "cell": [[5.9453, 0.0000, 0.0000], [0.0000, 5.7388, 0.0000], [-0.0267, 0.0000, 12.7338]], "species": ["Co", "Co", "Co", "Co", "Si", "Si", "Si", "Si", "Si", "Si", "Si", "Si", "Si", "Si", "Si", "Si", "P", "P", "P", "P", "P", "P", "P", "P", "P", "P", "P", "P"], "frac_coords": [[0.0067, 0.0000, 0.3786], [0.4820, 0.0688, 0.8859], [0.5180, 0.5688, 0.1141], [0.9933, 0.5000, 0.6214], [0.0645, 0.5370, 0.9274], [0.0780, 0.3680, 0.4539], [0.1732, 0.5053, 0.1804], [0.3609, 0.9504, 0.4272], [0.3726, 0.9708, 0.7227], [0.4725, 0.9373, 0.1717], [0.5275, 0.4373, 0.8283], [0.6274, 0.4708, 0.2773], [0.6391, 0.4504, 0.5728], [0.8268, 0.0053, 0.8196], [0.9220, 0.8680, 0.5461], [0.9355, 0.0370, 0.0726], [0.0254, 0.1268, 0.6737], [0.1251, 0.1423, 0.9261], [0.1313, 0.1103, 0.2197], [0.3461, 0.5774, 0.6796], [0.4147, 0.6981, 0.9502], [0.4378, 0.5525, 0.4275], [0.5622, 0.0525, 0.5725], [0.5853, 0.1981, 0.0498], [0.6539, 0.0774, 0.3204], [0.8687, 0.6103, 0.7803], [0.8749, 0.6423, 0.0739], [0.9746, 0.6268, 0.3263]]}

=====

# 4
-- stop --
**Here the text continues**

  2. No one just bought you a Celestial Steed mount. That email you got is an attempt to steal your account

If it sneaks by your spam filter, the latest scam email can be quite convincing. The message, which appears to be from, masquerades as a receipt for the purchase of the $25 Celestial Steed mount. Of course, the email is not actually from Blizzard (the "from" email is spoofed), and the links to and inside send you to a phishing website designed to steal your password or infect your computer with a keylogger.

Attempt to collect your sparkle pony, and within a few short hours, your entire account will be under someone else's control. If you haven't put an authenticator on your account, the scammers will do it for you, locking you out of your own account and severely hampering your ability to get it back.

More information on the latest scam, what you can do to protect yourself and what to do if you're a victim, all after the break.

The not-so-great sparkle pony scam of 2010

With more people using authenticators to protect their accounts, scammers, hackers, phishers and thieves are getting increasingly aggressive in their tactics to snare new victims. The latest attempt making the rounds is the following authentic-looking email:

Hello, thank you for shopping at the Blizzard Store!

World of Warcraft® Mount: Celestial Steed : 314159265358979323846

To use this key to activate the pet, simply follow these instructions:

* Create a account (or if you already have one, log in) at
* Verify your e-mail address. (If you have previously verified your address, skip this step.) From the main Account Management page, click the 'verify this e-mail address' link. Then, check your e-mail account for a verification e-mail. Click the link in this e-mail to verify your e-mail address.
* Return to the account management page, then click on 'Code Redemption'.
* Enter the above Pet Key in the code field.
* Once you have successfully redeemed this code, you will be able use the pet in World of Warcraft.

NOTE: If you have previously chosen to gift your digital purchase, attaching this key to their account will prevent the gift recipient from being able to redeem this key with your account.

Purchase Receipt
Customer Account:
Order Date: 2010-7-11
Order #: 3778397

(1) World of Warcraft® Mount: Celestial Steed - $25.00

Credit Card Number : ****-****-****-2663
Credit Card Type : Visa
Item Subtotal: $25.00
Tax: $0.00
Shipping & Handling: $0.00
Shipping Tax: $0.00
Grand Total: $25.00

If you have any questions or concerns about your order, please contact us at:

Phone: Toll-free at (1-800-592-5499)

Live phone support is available seven days a week, 8:00AM - 8:00PM Pacific Time.

Thanks for shopping with us!
Blizzard Customer Service

Instead of helping you redeem your free sparkle pony (or, alternatively, file a request to have this faulty transaction taken off your credit card), the links included in the email will whisk you away to a sketchy land of horror, where honest and kind World of Warcraft players have their gaming experience exploited and destroyed for the profit of gold sellers.

What to do if you are a victim

If all the items, gold and equipment you own are missing -- or worse yet, if you can't log into your account at all because it's asking for an authenticator you didn't request -- you're probably a victim of a hacking attempt. You can recover your account (and sometimes the items that are missing), but it will take some time. Here's what you should do:

  • Contact Blizzard Customer Service. You can get a lot more information about the appropriate people to contact by visiting the World of Warcraft compromised account page. From there, you can learn how to contact Blizzard by phone, email or web to start the account recovery process.

  • Contact your guild, if you have one. Most hackers go after guild banks if they can. Taking the extra step of contacting your guild can save everyone a lot of headaches.

  • Consider buying an authenticator. Well over 99% of hacking and phishing attempts could have been prevented if the victims had purchased and installed an authenticator on their accounts. Better yet, some mobile phones like the iPhone and Android are capable of downloading a free authenticator app.

Tips on protecting yourself

  • Never give out your password to anyone other than your parent or guardian. Blizzard employees and GMs will never ask for your password in game.

  • Don't follow web links from strangers in game.

  • If you receive an email from Blizzard about your account, do not follow any of the links present in the email itself. If you believe the message may be legitimate, type the or address directly in your browser's address bar.

  • Blizzard does not run in-game prize drawings. If someone is offering anything to you for free, chances are it's a scam. Don't follow links given to you in game via tells, trade chat or dead gnome corpses strangely floating in mid-air outside the Stormwind auction house.

  • Blizzard GMs do not contact people using level 1 characters and tells/whispers.

  • Even the most cautious of people can still get hacked by accidentally downloading a keylogger by visiting the wrong site or clicking the wrong link. Make sure your computer is protected with trusted anti-virus software.

[A special hat tip to all of you who sent us emails about the scam. Thanks!]